1. Introduction
Multi-label classification deals with one object which possibly belongs to multiple labels simultaneously, which are common in real-world applications, such as text categorization, scene and video annotation, bioinformatics, and music emotion classification [
1]. For example, a sunrise image could be labeled with “sun,” “sky” and “sea” at the same time in semantic scene classification. Formally [
2], let
denote the d-dimensional input space, and
denote the label space consisting of m possible class labels. The task of multi-label learning is to learn a function:
from the multi-label training set
For each multi-label example (
is a d-dimensional feature vector (
) T and
is the relevant label with
. For any unseen instance
, the multi-label classifier
as the set of proper labels for
Multi-label classification has attracted a lot of attention in the past few years [
6]. Nowadays, there are two main ways to construct various discriminative multi-label classification algorithms: problem transformation and algorithm adaptation. The key philosophy of problem transformation methods is to fit the data to the algorithm, while the key philosophy of algorithm adaptation methods is to fit the algorithm to the data [
A problem transformation strategy tackles a multi-label learning problem by transforming it into multiple independent binary or multi-class sub-problems, constructing a sub-classifier for each sub-problem using an existing technique, and then assembling all sub-classifiers into an entire multi-label classifier. It is convenient and fast to implement a problem transformation method due to the number of existing techniques and their free software. Representative algorithms include Binary Relevance [
7], AdaBoost.MH [
8], Calibrated Label Ranking [
3], Random
k-labelsets [
etc.An algorithm adaptation strategy tackles multi-label learning problem by adapting popular learning techniques to deal with multi-label data. Representative algorithms include Multi-Label
k-Nearest Neighbor (ML-
kNN) [
10], Multi-Label Decision Tree (ML-DT) [
11], Ranking Support Vector Machine (Rank-SVM) [
12], Backpropagation for Multi-Label Learning (BP-MLL) [
etc. The basic idea of ML-
kNN is to adapt
k-nearest neighbor techniques to deal with multi-label data, where a maximum
a posteriori (MAP) rule is utilized to make predictions by reasoning with the labeling information embodied in the neighbors. The basic idea of BP-MLL is to adapt feed-forward neural networks to deal with multi-label data, where the error back propagation strategy is employed to minimize a global error function capturing label correlations.
In the multi-labeled setting, classes belonging to one instance are often related to each other. The performance of the multi-label learning system is poor if it ignores the relationships between the different labels of each instance. Therefore, the famous Rank-SVM defines the margin over hyper planes for relevant–irrelevant label pairs, which explicitly characterizes label correlations of an individual instance. Rank-SVM achieves great accuracy. Unfortunately, Rank-SVM has a high computational cost, which limits its usability for many applications. Therefore, it is still necessary to build some novel efficient multi-label algorithms.
Recently, Huang
et al. [
16] proposed a novel learning algorithm for single-hidden layer feedforward neural networks called extreme learning machine (ELM). The single-hidden layer feedforward neural networks have been widely applied in machine learning [
22] and ELM represents one of the recent successful approaches in machine learning. Compared with traditional computational intelligence techniques, ELM exhibits better generalization performance at a much faster learning speed and with fewer human interventions. ELM techniques have received considerable attention in computational intelligence and machine learning communities, in both theoretic study and applications [
29]. ELM provides solutions to regression, clustering, feature learning, binary classification and multiclass classifications, but not to multi-label learning, which is a harder task than traditional binary and multi-class problems. Therefore, a thresholding method-based ELM is proposed in this paper to adapt ELM to multi-label classification, called ELM-ML (Extreme Learning Machine for Multi-Label classification). Experiments on eight multi-label datasets show that the performance of ELM-ML is superior to some other well-established multi-label learning algorithms including Rank-SVM, ML-
kNN, BP-MLL and Multi-Label Naïve Bayes (MLNB) in most cases, especially for applications which only have a small labeled data set.
2. A Brief Review of ELM
This section briefly reviews the standard ELM [
14]. ELM was originally proposed for single hidden-layer feedforward neural networks (SLFNs). For
N arbitrary distinct samples (
), where
, standard SLFNs with
hidden nodes and activation function
are mathematically modeled as
is the weight vector connecting the
ith hidden node and the input nodes,
is the weight vector connecting the
ith hidden node and the output nodes, and
is the thresholding of the
ith hidden node.
denotes the inner product of
. If a SLFNs with
hidden nodes with activation function
can approximate these
N samples with zero error, it means that
i.e., there exist
such that
The above
N equations can be written compactly as
H is called the hidden layer output matrix of the SLFN; the
ith column of
H is the
ith hidden node output with respect to inputs
,…, . It has been proven [
15] that if the activation function g is infinitely differentiable in any interval, the hidden layer parameters can be randomly generated. Therefore, Formula (3) becomes a linear system and the output weights
are estimated as
is the Moore–Penrose generalized inverse of the hidden layer output matrix
H. Thus, ELM randomly generated hidden node parameters and then analytically calculated the hidden layer output matrix
H and the output weights
. This avoids any long training procedure where a hidden layer of SLFNs need to be tuned. Compared with traditional computational intelligence techniques, ELM provides better generalization performance at a much faster learning speed and with fewer human interventions.
In this section, we will describe our multi-label classification algorithm, called an extreme learning machine for multi-label classification (ELM-ML).
From the standard optimization method point of view [
15], ELM with multi-output nodes can be formulated as
Formula (7) tends to reach not only the smallest training error but also the smallest norm of output weights, where . N is the number of training samples. is the training error vector of the m output nodes with respect to the training sample . C is a user-specified parameter and provides a trade-off between the distance of the separating margin and the training error. The predicted class label of a given testing sample is the index number of the output node which has the highest output value. Formula (7) provides a solution to multi-class classifications.
Multi-label learning is a harder task than traditional multi-class problems, which is a special case of multi-label classification. One sample belongs to several related labels simultaneously, so we cannot simply regard the index number of the highest output value as a predicted class for a given testing sample. A proper thresholding function should be set. Naturally, the predicted class labels for a given testing sample are those index numbers for output nodes which have higher output value than the predefined thresholding.
as a constant function is a common multi-label thresholding method. One straightforward choice is to use zero as the calibration constant [
8]. An alternative choice for the calibration constant is 0.5, when the multi-label learned model
represents the posterior probability of
being a proper label of
23]. Another popular approach, called experimental thresholding [
30], consists in testing different values as thresholds on a validation set and choosing the value which maximizes the effectiveness. Of all the threshold calibration strategies above, experimental thresholding seems to be the most reasonable, but it is time-consuming and labor-intensive. We believe that the thresholding function
should be learned from instances. That is to say, different instances should correspond to different thresholdings in multi-label learning model. A novel method would be to consider the thresholding function
as a regression problem for the training data. In this paper, we use an ELM algorithm with a single output node to solve this regression problem. Overall, the proposed ELM-ML algorithm has two phases: multi-class classifier-based ELM with multi-outputs and thresholding function learning-based ELM with single outputs. The pseudo-code of ELM-ML is summarized in
Figure 1.
4. Experiments
Firstly, we compare the proposed thresholding strategy in this paper with the constant thresholding strategy and strategy in Rank-SVM [
12]. Secondly, we compare the performance of different multi-label classification algorithms, including our algorithm ELM-ML, Rank-SVM, MLNB, BP-MLL [
13] and ML-
kNN [
10] on eight multi-label classification data sets. Before presenting our experimental results, we briefly introduce eight benchmark data sets and six multi-label performance measures.
4.1. Datasets
In order to verify the performance of thresholding strategy and different multi-label classification algorithms, a wide variey of data sets have been tested in our simulations, which are of small/large sizes, low/high dimensions, and small/large labels. These data sets [
<<<
{
  "formula": "C12H17Cl2GaNS",
  "method": "the ωB97M-V functional and the def2-TZVPD basis",
  "e_lumo_ev": 2.521,
  "gap_ev": 5.648,
  "de_lowest_kcal_mol": 0.0,
  "total_charge": -1,
  "max_force_ev_per_a": 3.8,
  "e_homo_ev": -3.1,
  "elements": ["Ga", "Cl", "Cl", "C", "H", "H", "C", "C", "H", "C", "H", "C", "H", "H", "C", "H", "H", "C", "H", "H", "H", "H", "S", "C", "N", "C", "C", "C", "C", "H", "H", "H", "H", "H"],
  "coordinates": [[0.000, 0.109, -1.658], [0.435, 2.088, -2.377], [-2.073, -0.431, -1.360], [0.834, -1.246, -2.699], [0.159, -2.096, -2.920], [1.393, -0.880, -3.582], [1.309, -1.049, -0.193], [1.774, -1.602, -1.450], [0.325, -1.419, 0.168], [3.228, -1.229, -1.807], [1.727, -2.702, -1.328], [4.192, -1.634, -0.688], [3.501, -1.751, -2.733], [3.298, -0.144, -1.978], [3.795, -0.968, 0.612], [4.192, -2.725, -0.547], [5.191, -1.288, -0.970], [2.294, -1.055, 0.936], [4.356, -1.438, 1.428], [4.054, 0.094, 0.531], [2.128, -2.009, 1.469], [2.053, -0.302, 1.684], [-1.167, 2.751, 1.014], [-2.768, 2.415, 1.307], [-3.238, 2.389, 2.613], [-4.482, 1.938, 2.955], [-5.340, 1.477, 1.968], [-4.931, 1.553, 0.622], [-3.692, 2.079, 0.295], [-2.575, 2.666, 3.336], [-4.722, 1.967, 4.014], [-6.313, 1.080, 2.237], [-5.589, 1.198, -0.170], [-3.348, 2.164, -0.732]],
  "lowdin_charge": [-0.35, 0.08, 0.14, -0.25, 0.04, 0.05, -0.29, -0.50, 0.06, -0.19, 0.12, -0.23, 0.11, 0.12, -0.22, 0.11, 0.10, -0.23, 0.10, 0.11, 0.10, 0.09, 0.59, -0.82, 0.02, -0.09, -0.10, -0.07, -0.13, 0.13, 0.11, 0.09, 0.11, 0.09]
}


{
  "formula": "C12H17Cl2NSm",
  "method": "the ωB97M-V functional and the def2-TZVPD basis",
  "s2": 8.811,
  "e_lumo_ev": [2.702, 2.716],
  "gap_ev": [6.059, 5.935],
  "de_lowest_kcal_mol": 0.0,
  "total_charge": -1,
  "max_force_ev_per_a": 5.8,
  "e_homo_ev": [-3.4, -3.2],
  "spin_multiplicity": 6,
  "elements": ["Sm", "Cl", "Cl", "C", "H", "H", "C", "C", "H", "C", "H", "C", "H", "H", "C", "H", "H", "C", "H", "H", "H", "H", "C", "C", "C", "N", "C", "C", "H", "H", "H", "H", "H"],
  "coordinates": [[-1.380, -0.138, 1.935], [-3.115, 1.340, 0.785], [-0.046, 1.099, 3.684], [-2.884, 0.146, 3.801], [-2.461, 0.341, 4.791], [-3.845, 0.659, 3.719], [0.967, -1.901, -0.255], [-0.121, -1.280, -0.078], [1.687, -2.111, 0.537], [-1.278, -1.168, -1.005], [-3.081, -0.952, 3.714], [-1.149, -2.154, -2.207], [-2.219, -1.399, -0.440], [-1.429, -0.143, -1.405], [0.290, -2.376, -2.703], [-1.580, -3.100, -1.857], [-1.766, -1.792, -3.038], [1.360, -2.473, -1.610], [0.306, -3.288, -3.315], [0.549, -1.546, -3.376], [1.662, -3.522, -1.503], [2.256, -1.977, -2.007], [2.378, 3.394, -0.052], [2.731, 2.259, 0.695], [1.758, 1.278, 0.922], [0.467, 1.441, 0.572], [0.161, 2.460, -0.251], [1.078, 3.473, -0.567], [3.100, 4.195, -0.221], [3.726, 2.116, 1.118], [1.995, 0.344, 1.445], [-0.863, 2.466, -0.640], [0.746, 4.309, -1.187]],
>>>
31] include diversified multi-label classification cases, which cover four distinct domains: text, scene, music and biology.
To characterize the properties of the multi-label data sets, several useful multi-label indicators can be utilized. The most natural way to measure the degree of multi-labeledness is Label Cardinality (LC):
i.e., the average number of labels per sample. Accordingly, Label Density(LD) normalizes label cardinality by the number of possible labels in the label space:
Table 1 describes these eight benchmark data sets, in which #Training and #Test means the numbers of training examples and test examples, respectively. As shown in
Table 1, the data sets cover a different range of cases whose characteristics are diversified. These data sets are categorized into three groups, such as small data sets, medium data sets and large data sets, according to the amount of training samples. Significantly, there are not only low or high dimensions but also small or large labels in any group.
4.2. Evaluation Measures
With the aim of fair and honest evaluation, performance of the multi-label learning algorithms should be tested on a broad range of metrics instead of only on the one being optimized. In this paper, we chose six evaluation criteria suitable for classification: Subset Accuracy, Hamming Loss, Accuracy, Precision, Recall and F1. These measures are defined as follows [
Assume a test data set of size n to be S = {(),…, (),…, ()} and be the learned multi-label classifier. A common practice in multi-label learning is to return a real-valued function . For a unseen instance , the real-valued output on each label should be calibrated against the thresholding function output .
The hamming loss evaluates the fraction of misclassified instance-label pairs,
i.e., a relevant label is missed or an irrelevant label is predicted.
stands for the symmetric difference between two sets.
The subset accuracy evaluates the fraction of correctly classified examples,
i.e., the predicted label set is identical to the ground-truth label set. Intuitively, subset accuracy can be regarded as a multi-label counterpart of the traditional accuracy metric, and tends to be overly strict especially when the size of the label space is large.
Here, and correspond to the ground-truth and predicted label set for , respectively.
Obviously, except for the first metrics, the larger the last five metric value, the better the system’s performance is.
4.3. Results
4.3.1. Thresholding Function
We compare three thresholding strategies: the proposed thresholding strategy in ELM-ML, thresholding strategy in Rank-SVM and constant strategy. To achieve an optimal constant thresholding parameter
Ct, we tested different values as thresholdings on the validation set and chose the value which maximizes the effectiveness. More specifically, hamming loss and subset accuracy are regarded as criteria to tune constant parameter
Ct, respectively. Constant parameter
Ct is tuned from −1 to 1 with interval step rate
. Rank-SVM employs the stacking-style procedure to set the thresholding function
12]. We apply multi-class ELM algorithm providing scores for each sample, then use three thresholding strategies, called ELM-ML, ELM-Rank-SVM and ELM-Constant, to predict labels for each sample.
In experiments, our computational platform is a 32-bit HP workstation with Interl® (Santa Clara, CA, USA) CoreTM i3-2130 CPU (4CPUs) except for on TMC2007-500 data set and TMC2007 data set, because the amount of training data for these two data sets is very large, and for which the computational platform is a 64-bit HP server with Interl® CoreTM i7-4700MQ CPU (8CPUs).
All results are detailed in
Table 2,
Table 3 and
Table 4. The best performance is highlighted in boldface. As seen in
Table 2,
Table 3 and
Table 4, the proposed thresholding strategy in ELM-ML achieves the highest performance among them in most cases. It is worthwhile to note that we tune parameter
Ct very carefully on each data set in a constant thresholding strategy. The hamming loss and subset accuracy measures are regarded as criteria to tune parameter
Ct. That is to say, when we verified these three thresholding strategies using hamming loss, hamming loss was regarded as a criterion to tune parameter
Ct; when we verified these three thresholding strategies using subset accuracy, subset accuracy was regarded as a criterion to tune parameter
Ct. Unfortunately, a constant thresholding strategy holds only a slight advantage in the subset accuracy criterion for the scene data set. Meanwhile, the constant thresholding strategy outperforms others for the hamming loss criterion only on the Enron and CAL500 data sets.
Training times and testing times are listed in
Table 4. We only compare running time of the thresholding strategy in ELM-ML and the thresholding strategy in Rank-SVM, because the constant thresholding is time-consuming. Obviously, ELM-ML achieves overwhelming performance. In conclusion, the proposed thresholding strategy in ELM-ML is effective and efficient.
4.3.2. Multi-Label Algorithms
We also compare the performances of different multi-label classification algorithms, including ELM-ML, Rank-SVM, BP-MLL, MLNB and ML-
kNN on eight multi-label classification data sets. We downloaded Matlab code [
32] of BP-MLL, MLNB and ML-
kNN . We developed the ELM-ML algorithm in Matlab and chose a sigmoid activation function. Hidden nodes were set to
= 1000. We accept their recommended parameter settings. The best parameters of BP-MLL, MLNB and ML-kNN reported in the literature [
33], were used. For BP-MLL, the learning rate is fixed at 0.05, the number of hidden neurons is 20% of the number of input neurons, the training epochs is set to be 100 and the regularization constant is fixed to be 0.1. For MLNB, the fraction of remaining features after PCA is set to the moderate value of 0.3. For ML-kNN, the Laplacian estimator s = 1 and k = 10 are used. The number of iterations is fixed at 100. For Rank-SVM developed in Matlab, a Gaussian kernel is tested, where kernel parameter
and cost parameter
need to be chosen appropriately for each data set. In our experiments, the Hamming Loss measure is regarded as a criterion to tune two parameters. To achieve an optimal parameter combination (
), we use a similar tuning procedure as in [
9]. The optimal parameters of Rank-SVM on each data set are shown in
Table 5. Due to the large size of the label space, Rank-SVM failed to calculate the results on CAL500. On the other hand, Rank-SVM, BP-MLL and MLNB did not output experimental results for TMC2007 and TMC2007-500. The amounts of training data of TMC2007 and TMC2007-500 are huge, which leads to high computational complexity. BP-MLL needs more iteration, which is time-consuming. Therefore, there are no results on these three data sets or parts of them.
The detailed experimental results are shown in
Table 6,
Table 7,
Table 8,
Table 9,
Table 10,
Table 11 and
Table 12. The best performance among the five comparing algorithms is highlighted in boldface. From
Table 6,
Table 7,
Table 8,
Table 9,
Table 10 and
Table 11, ELM-ML obtains the best performances in all six criteria on a small data set. Genbase, Emotions and CAL500 are all small-size training data regardless of the size of labels and feature dimensions. That is to say, the proposed ELM-ML is more suitable to solve those applications for which a large amount of labeled data is difficult to obtain. ELM-ML tends to achieve better results than other well-established multi-label algorithms when only a small amount of labeled training data is available. However, ELM-ML is inferior to others on medium data sets, whereas Rank-SVM and ML-
kNN work well. It is interesting that if a large number of labeled data are obtained easily, ELM-ML presents the best performance.
Furthermore, training times and testing times are listed in
Table 12. ELM-ML achieves the best testing time and ML-
kNN obtains the best training time except on the Scene and TMC2007-500 data sets.